(Excerpt)
=====
Theoretical powder X-ray diffraction pattern of Zn2AgPbF8 for copper Kα, from a DFT-relaxed cell (GGA-PBE, Alexandria).

```
data_Zn2AgPbF8
_chemical_formula_sum 'Zn4 Ag2 Pb2 F16'
_cell_length_a 7.4182
_cell_length_b 7.4182
_cell_length_c 7.1463
_cell_angle_alpha 90.00
_cell_angle_beta 90.00
_cell_angle_gamma 90.00
_space_group_name_H-M_alt 'I -4 m 2'
_space_group_IT_number 119
_space_group_name_Hall 'I -4 -2'
loop_
_atom_site_label
_atom_site_type_symbol
_atom_site_fract_x
_atom_site_fract_y
_atom_site_fract_z
_atom_site_occupancy
Zn1 Zn 0.0000 0.0000 0.0000 1
Zn2 Zn 0.0000 0.5000 0.2500 1
Ag1 Ag 0.0000 0.0000 0.5000 1
Pb1 Pb 0.0000 0.5000 0.7500 1
F1 F 0.0000 0.1879 0.8165 1
F2 F 0.0000 0.3147 0.4424 1
```

Main lines, by intensity (2θ = 10–90°):
23.99°, d 3.709, I 100, hkl 2 0 0
30.27°, d 2.953, I 82, hkl 1 1 2
46.30°, d 1.961, I 70, hkl 3 1 2
17.23°, d 5.147, I 35, hkl 1 0 1
58.79°, d 1.571, I 21, hkl 3 3 2
34.19°, d 2.623, I 21, hkl 2 2 0
49.13°, d 1.855, I 17, hkl 4 0 0
57.23°, d 1.610, I 16, hkl 2 0 4
55.39°, d 1.659, I 14, hkl 4 2 0
69.80°, d 1.347, I 14, hkl 5 1 2

***

Theoretical powder X-ray diffraction pattern of ZrAg2PbF8 for copper Kα, from a DFT-relaxed cell (GGA-PBE, Alexandria).

```
data_ZrAg2PbF8
_chemical_formula_sum 'Zr1 Ag2 Pb1 F8'
_cell_length_a 3.8828
_cell_length_b 8.0649
_cell_length_c 5.9920
_cell_angle_alpha 90.00
_cell_angle_beta 90.07
_cell_angle_gamma 90.00
_space_group_name_H-M_alt 'P 1 2/m 1'
_space_group_IT_number 10
_space_group_name_Hall '-P 2y'
loop_
_atom_site_label
_atom_site_type_symbol
_atom_site_fract_x
_atom_site_fract_y
_atom_site_fract_z
_atom_site_occupancy
Zr1 Zr 0.0000 0.0000 0.0000 1
Ag1 Ag 0.5000 0.2557 0.5000 1
Pb1 Pb 0.0000 0.5000 0.0000 1
F1 F 0.9999 0.2050 0.2152 1
F2 F 0.4995 0.5000 0.7459 1
F3 F 0.4999 0.0000 0.1940 1
```

Main lines, by intensity (2θ = 10–90°):
26.65°, d 3.345, I 100, hkl 0 2 1
27.37°, d 3.258, I 96, hkl 1 0 1
44.30°, d 2.045, I 77, hkl 1 2 2
32.00°, d 2.797, I 32, hkl 1 2 0
53.44°, d 1.715, I 28, hkl 1 4 1
54.66°, d 1.679, I 27, hkl 2 2 -1
29.82°, d 2.996, I 20, hkl 0 0 2
46.80°, d 1.941, I 20, hkl 2 0 0
44.96°, d 2.016, I 17, hkl 0 4 0
51.03°, d 1.790, I 17, hkl 0 2 3

***

Theoretical powder X-ray diffraction pattern of Ag3Pd2F8 for copper Kα, from a DFT-relaxed cell (GGA-PBE, Alexandria).

```
data_Ag3Pd2F8
_chemical_formula_sum 'Ag12 Pd8 F32'
_cell_length_a 6.9791
_cell_length_b 12.6127
_cell_length_c 9.7519
_cell_angle_alpha 90.00
_cell_angle_beta 90.00
_cell_angle_gamma 90.00
_space_group_name_H-M_alt 'C m c e'
_space_group_IT_number 64
_space_group_name_Hall '-C 2ac 2'
loop_
_atom_site_label
_atom_site_type_symbol
_atom_site_fract_x
_atom_site_fract_y
_atom_site_fract_z
_atom_site_occupancy
Ag1 Ag 0.0000 0.0000 0.0000 1
Ag2 Ag 0.2500 0.1800 0.2500 1
Pd1 Pd 0.0000 0.0710 0.5912 1
F1 F 0.0000 0.0354 0.2410 1
F2 F 0.0000 0.1960 0.7355 1
F3 F 0.2273 0.1275 0.4741 1
```

Main lines, by intensity (2θ = 10–90°):
23.06°, d 3.857, I 100, hkl 0 2 2
29.25°, d 3.053, I 95, hkl 2 2 0
30.68°, d 2.914, I 85, hkl 2 2 1
30.91°, d 2.893, I 81, hkl 0 2 3
47.91°, d 1.899, I 71, hkl 2 4 3
29.78°, d 3.000, I 40, hkl 0 4 1
31.53°, d 2.838, I 36, hkl 2 0 2
57.97°, d 1.591, I 32, hkl 0 6 4
39.08°, d 2.305, I 28, hkl 1 5 1
52.44°, d 1.745, I 26, hkl 4 0 0

***
=====
(Assignment)
What is needed: retype the contents above with every line break kept.
(Solution)
Theoretical powder X-ray diffraction pattern of Zn2AgPbF8 for copper Kα, from a DFT-relaxed cell (GGA-PBE, Alexandria).

```
data_Zn2AgPbF8
_chemical_formula_sum 'Zn4 Ag2 Pb2 F16'
_cell_length_a 7.4182
_cell_length_b 7.4182
_cell_length_c 7.1463
_cell_angle_alpha 90.00
_cell_angle_beta 90.00
_cell_angle_gamma 90.00
_space_group_name_H-M_alt 'I -4 m 2'
_space_group_IT_number 119
_space_group_name_Hall 'I -4 -2'
loop_
_atom_site_label
_atom_site_type_symbol
_atom_site_fract_x
_atom_site_fract_y
_atom_site_fract_z
_atom_site_occupancy
Zn1 Zn 0.0000 0.0000 0.0000 1
Zn2 Zn 0.0000 0.5000 0.2500 1
Ag1 Ag 0.0000 0.0000 0.5000 1
Pb1 Pb 0.0000 0.5000 0.7500 1
F1 F 0.0000 0.1879 0.8165 1
F2 F 0.0000 0.3147 0.4424 1
```

Main lines, by intensity (2θ = 10–90°):
23.99°, d 3.709, I 100, hkl 2 0 0
30.27°, d 2.953, I 82, hkl 1 1 2
46.30°, d 1.961, I 70, hkl 3 1 2
17.23°, d 5.147, I 35, hkl 1 0 1
58.79°, d 1.571, I 21, hkl 3 3 2
34.19°, d 2.623, I 21, hkl 2 2 0
49.13°, d 1.855, I 17, hkl 4 0 0
57.23°, d 1.610, I 16, hkl 2 0 4
55.39°, d 1.659, I 14, hkl 4 2 0
69.80°, d 1.347, I 14, hkl 5 1 2

***

Theoretical powder X-ray diffraction pattern of ZrAg2PbF8 for copper Kα, from a DFT-relaxed cell (GGA-PBE, Alexandria).

```
data_ZrAg2PbF8
_chemical_formula_sum 'Zr1 Ag2 Pb1 F8'
_cell_length_a 3.8828
_cell_length_b 8.0649
_cell_length_c 5.9920
_cell_angle_alpha 90.00
_cell_angle_beta 90.07
_cell_angle_gamma 90.00
_space_group_name_H-M_alt 'P 1 2/m 1'
_space_group_IT_number 10
_space_group_name_Hall '-P 2y'
loop_
_atom_site_label
_atom_site_type_symbol
_atom_site_fract_x
_atom_site_fract_y
_atom_site_fract_z
_atom_site_occupancy
Zr1 Zr 0.0000 0.0000 0.0000 1
Ag1 Ag 0.5000 0.2557 0.5000 1
Pb1 Pb 0.0000 0.5000 0.0000 1
F1 F 0.9999 0.2050 0.2152 1
F2 F 0.4995 0.5000 0.7459 1
F3 F 0.4999 0.0000 0.1940 1
```

Main lines, by intensity (2θ = 10–90°):
26.65°, d 3.345, I 100, hkl 0 2 1
27.37°, d 3.258, I 96, hkl 1 0 1
44.30°, d 2.045, I 77, hkl 1 2 2
32.00°, d 2.797, I 32, hkl 1 2 0
53.44°, d 1.715, I 28, hkl 1 4 1
54.66°, d 1.679, I 27, hkl 2 2 -1
29.82°, d 2.996, I 20, hkl 0 0 2
46.80°, d 1.941, I 20, hkl 2 0 0
44.96°, d 2.016, I 17, hkl 0 4 0
51.03°, d 1.790, I 17, hkl 0 2 3

***

Theoretical powder X-ray diffraction pattern of Ag3Pd2F8 for copper Kα, from a DFT-relaxed cell (GGA-PBE, Alexandria).

```
data_Ag3Pd2F8
_chemical_formula_sum 'Ag12 Pd8 F32'
_cell_length_a 6.9791
_cell_length_b 12.6127
_cell_length_c 9.7519
_cell_angle_alpha 90.00
_cell_angle_beta 90.00
_cell_angle_gamma 90.00
_space_group_name_H-M_alt 'C m c e'
_space_group_IT_number 64
_space_group_name_Hall '-C 2ac 2'
loop_
_atom_site_label
_atom_site_type_symbol
_atom_site_fract_x
_atom_site_fract_y
_atom_site_fract_z
_atom_site_occupancy
Ag1 Ag 0.0000 0.0000 0.0000 1
Ag2 Ag 0.2500 0.1800 0.2500 1
Pd1 Pd 0.0000 0.0710 0.5912 1
F1 F 0.0000 0.0354 0.2410 1
F2 F 0.0000 0.1960 0.7355 1
F3 F 0.2273 0.1275 0.4741 1
```

Main lines, by intensity (2θ = 10–90°):
23.06°, d 3.857, I 100, hkl 0 2 2
29.25°, d 3.053, I 95, hkl 2 2 0
30.68°, d 2.914, I 85, hkl 2 2 1
30.91°, d 2.893, I 81, hkl 0 2 3
47.91°, d 1.899, I 71, hkl 2 4 3
29.78°, d 3.000, I 40, hkl 0 4 1
31.53°, d 2.838, I 36, hkl 2 0 2
57.97°, d 1.591, I 32, hkl 0 6 4
39.08°, d 2.305, I 28, hkl 1 5 1
52.44°, d 1.745, I 26, hkl 4 0 0

***